-- File --
'''
# 1
A plane-wave DFT calculation with PBE-GGA was carried out for LiTi3Re after structural relaxation.

Structure (extended XYZ):
```
5
Lattice="-0.880 -3.686 -1.943 3.283 -1.837 1.998 -2.567 -1.085 3.221" Properties=species:S:1:pos:R:3 pbc="T T T"
Li 0.000 0.000 0.000
Ti 1.641 -0.918 0.999
Ti -1.284 -0.542 1.610
Re -0.082 -3.304 1.638
Ti -0.440 -1.843 -0.972
```

Calculated values
DOS at the Fermi energy = 1.788 states/eV per atom
energy of formation = 0.976 eV per atom

# 2
A plane-wave DFT calculation with PBE-GGA was carried out for LiTi2Re after structural relaxation.

Structure (extended XYZ):
```
8
Lattice="-4.213 -5.345 0.681 -0.082 -0.801 -6.792 -0.042 -4.711 -2.888" Properties=species:S:1:pos:R:3 pbc="T T T"
Ti -1.643 -5.841 -4.485
Ti -3.790 -8.907 -7.486
Li -1.136 -4.292 -6.368
Ti -2.637 -4.597 -1.148
Re 0.000 0.000 0.000
Re -3.202 -6.564 -2.631
Li -2.148 -3.073 -3.056
Ti -0.606 -2.368 -4.879
```

Calculated values
DOS at the Fermi energy = 0.789 states/eV per atom
energy of formation = 0.409 eV per atom

# 3
A plane-wave DFT calculation with PBE-GGA was carried out for LiTiRe2 after structural relaxation.

Structure (extended XYZ):
```
8
Lattice="6.874 0.000 0.000 0.000 6.874 0.000 3.437 3.437 2.536" Properties=species:S:1:pos:R:3 pbc="T T T"
Ti 0.000 0.000 0.000
Re 1.879 5.155 0.634
Li 3.437 3.437 0.000
Ti 6.874 3.437 1.268
Re 5.155 5.316 1.902
Re 8.592 8.432 1.902
Li 3.437 6.874 1.268
Re 4.995 1.718 0.634
```

Calculated values
DOS at the Fermi energy = 0.684 states/eV per atom
energy of formation = 0.723 eV per atom

# 4
A plane-wave DFT calculation with PBE-GGA was carried out for LiTi2Re after structural relaxation.

Structure (extended XYZ):
```
4
Lattice="3.158 0.000 0.000 0.000 4.376 0.000 0.000 0.000 4.376" Properties=species:S:1:pos:R:3 pbc="T T T"
Li 1.579 0.000 0.000
Re 1.579 2.188 2.188
Ti 0.000 0.000 2.188
Ti 0.000 2.188 0.000
```

Calculated values
DOS at the Fermi energy = 0.956 states/eV per atom
energy of formation = -0.054 eV per atom

# 5
A plane-wave DFT calculation with PBE-GGA was carried out for LiTiRe3 after structural relaxation.

Structure (extended XYZ):
```
5
Lattice="-3.983 1.819 -1.353 -2.181 -2.329 3.290 0.618 3.503 2.889" Properties=species:S:1:pos:R:3 pbc="T T T"
Re 0.309 1.751 1.445
Ti 0.000 0.000 0.000
Re -1.991 0.909 -0.676
Re -1.090 -1.164 1.645
Li -2.773 1.497 2.413
```

Calculated values
DOS at the Fermi energy = 1.373 states/eV per atom
energy of formation = 1.855 eV per atom

# 6
A plane-wave DFT calculation with PBE-GGA was carried out for LiTi3Re after structural relaxation.

Structure (extended XYZ):
```
5
Lattice="4.823 0.000 0.000 0.000 4.823 0.000 0.000 0.000 4.823" Properties=species:S:1:pos:R:3 pbc="T T T"
Ti 0.000 0.000 2.412
Ti 2.412 0.000 0.000
Re 0.000 0.000 0.000
Li 2.412 2.412 2.412
Ti 0.000 2.412 0.000
```

Calculated values
DOS at the Fermi energy = 1.857 states/eV per atom
energy of formation = 0.615 eV per atom

# 7
A plane-wave DFT calculation with PBE-GGA was carried out for LiTiRe2 after structural relaxation.

Structure (extended XYZ):
```
4
Lattice="-1.076 -1.460 3.914 -2.669 2.290 2.498 -4.004 -1.419 0.747" Properties=species:S:1:pos:R:3 pbc="T T T"
Li 0.000 0.000 0.000
Re -1.937 -0.147 1.790
Ti -3.874 -0.295 3.579
Re -5.812 -0.442 5.369
```

Calculated values
DOS at the Fermi energy = 1.335 states/eV per atom
energy of formation = 0.336 eV per atom

# 8
A plane-wave DFT calculation with PBE-GGA was carried out for LiTiVRe after structural relaxation.

Structure (extended XYZ):
```
4
Lattice="4.327 0.000 0.000 2.163 3.747 0.000 2.163 1.249 3.533" Properties=species:S:1:pos:R:3 pbc="T T T"
Ti 4.327 2.498 1.766
V 0.000 0.000 0.000
Li 2.163 1.249 0.883
Re 6.490 3.747 2.649
```

Calculated values
DOS at the Fermi energy = 0.784 states/eV per atom
energy of formation = -0.019 eV per atom

# 9
A plane-wave DFT calculation with PBE-GGA was carried out for Li2TlRe after structural relaxation.

Structure (extended XYZ):
```
4
'''

-- Exercise --
Return the notes further above from the first line to the one with "1.335 states/eV" without additions.

-- Worked solution --
# 1
A plane-wave DFT calculation with PBE-GGA was carried out for LiTi3Re after structural relaxation.

Structure (extended XYZ):
```
5
Lattice="-0.880 -3.686 -1.943 3.283 -1.837 1.998 -2.567 -1.085 3.221" Properties=species:S:1:pos:R:3 pbc="T T T"
Li 0.000 0.000 0.000
Ti 1.641 -0.918 0.999
Ti -1.284 -0.542 1.610
Re -0.082 -3.304 1.638
Ti -0.440 -1.843 -0.972
```

Calculated values
DOS at the Fermi energy = 1.788 states/eV per atom
energy of formation = 0.976 eV per atom

# 2
A plane-wave DFT calculation with PBE-GGA was carried out for LiTi2Re after structural relaxation.

Structure (extended XYZ):
```
8
Lattice="-4.213 -5.345 0.681 -0.082 -0.801 -6.792 -0.042 -4.711 -2.888" Properties=species:S:1:pos:R:3 pbc="T T T"
Ti -1.643 -5.841 -4.485
Ti -3.790 -8.907 -7.486
Li -1.136 -4.292 -6.368
Ti -2.637 -4.597 -1.148
Re 0.000 0.000 0.000
Re -3.202 -6.564 -2.631
Li -2.148 -3.073 -3.056
Ti -0.606 -2.368 -4.879
```

Calculated values
DOS at the Fermi energy = 0.789 states/eV per atom
energy of formation = 0.409 eV per atom

# 3
A plane-wave DFT calculation with PBE-GGA was carried out for LiTiRe2 after structural relaxation.

Structure (extended XYZ):
```
8
Lattice="6.874 0.000 0.000 0.000 6.874 0.000 3.437 3.437 2.536" Properties=species:S:1:pos:R:3 pbc="T T T"
Ti 0.000 0.000 0.000
Re 1.879 5.155 0.634
Li 3.437 3.437 0.000
Ti 6.874 3.437 1.268
Re 5.155 5.316 1.902
Re 8.592 8.432 1.902
Li 3.437 6.874 1.268
Re 4.995 1.718 0.634
```

Calculated values
DOS at the Fermi energy = 0.684 states/eV per atom
energy of formation = 0.723 eV per atom

# 4
A plane-wave DFT calculation with PBE-GGA was carried out for LiTi2Re after structural relaxation.

Structure (extended XYZ):
```
4
Lattice="3.158 0.000 0.000 0.000 4.376 0.000 0.000 0.000 4.376" Properties=species:S:1:pos:R:3 pbc="T T T"
Li 1.579 0.000 0.000
Re 1.579 2.188 2.188
Ti 0.000 0.000 2.188
Ti 0.000 2.188 0.000
```

Calculated values
DOS at the Fermi energy = 0.956 states/eV per atom
energy of formation = -0.054 eV per atom

# 5
A plane-wave DFT calculation with PBE-GGA was carried out for LiTiRe3 after structural relaxation.

Structure (extended XYZ):
```
5
Lattice="-3.983 1.819 -1.353 -2.181 -2.329 3.290 0.618 3.503 2.889" Properties=species:S:1:pos:R:3 pbc="T T T"
Re 0.309 1.751 1.445
Ti 0.000 0.000 0.000
Re -1.991 0.909 -0.676
Re -1.090 -1.164 1.645
Li -2.773 1.497 2.413
```

Calculated values
DOS at the Fermi energy = 1.373 states/eV per atom
energy of formation = 1.855 eV per atom

# 6
A plane-wave DFT calculation with PBE-GGA was carried out for LiTi3Re after structural relaxation.

Structure (extended XYZ):
```
5
Lattice="4.823 0.000 0.000 0.000 4.823 0.000 0.000 0.000 4.823" Properties=species:S:1:pos:R:3 pbc="T T T"
Ti 0.000 0.000 2.412
Ti 2.412 0.000 0.000
Re 0.000 0.000 0.000
Li 2.412 2.412 2.412
Ti 0.000 2.412 0.000
```

Calculated values
DOS at the Fermi energy = 1.857 states/eV per atom
energy of formation = 0.615 eV per atom

# 7
A plane-wave DFT calculation with PBE-GGA was carried out for LiTiRe2 after structural relaxation.

Structure (extended XYZ):
```
4
Lattice="-1.076 -1.460 3.914 -2.669 2.290 2.498 -4.004 -1.419 0.747" Properties=species:S:1:pos:R:3 pbc="T T T"
Li 0.000 0.000 0.000
Re -1.937 -0.147 1.790
Ti -3.874 -0.295 3.579
Re -5.812 -0.442 5.369
```

Calculated values
DOS at the Fermi energy = 1.335 states/eV per atom